Now work out how many lines further down have the word "with" in them; a number is enough.

~~~
C15H16O7 | ωB97M-V/def2-TZVPD

Structure (XYZ):
```
38
Properties=species:S:1:pos:R:3
C 0.351 -5.168 0.014
C 0.830 -4.476 -1.235
C 0.573 -3.131 -1.529
C 0.843 -2.450 -2.780
O 1.381 -3.011 -3.733
O 0.552 -1.129 -2.713
C 0.004 -0.889 -1.412
C -1.258 -0.058 -1.471
C -1.050 1.215 -1.057
C 0.305 1.448 -0.566
C 0.509 2.156 0.812
C -0.058 3.570 0.798
O 0.664 4.419 0.272
O -1.302 3.833 1.277
C -1.717 5.196 1.185
C -0.098 1.291 1.945
O 0.760 1.357 3.098
O -0.234 -0.098 1.642
C 0.808 -0.672 0.841
O 0.471 -2.040 0.638
C -0.148 -2.166 -0.645
C 0.924 0.028 -0.534
H -0.087 -4.471 0.734
H 1.255 -5.596 0.482
H -0.357 -5.982 -0.252
H 1.289 -5.087 -2.037
H -2.206 -0.424 -1.858
H -1.781 2.025 -1.113
H 0.863 1.998 -1.350
H 1.563 2.249 1.018
H -1.083 5.811 1.810
H -2.702 5.277 1.559
H -1.683 5.557 0.142
H -1.084 1.668 2.225
H 0.385 0.770 3.772
H 1.724 -0.610 1.439
H -1.187 -2.492 -0.567
H 1.983 0.084 -0.848
```

Summary:
HOMO-LUMO gap: 0.3649 Ha
lowest unoccupied orbital energy: 0.2 eV

***

C15H17AlClF3N7S3 | ωB97M-V/def2-TZVPD

Structure (XYZ):
```
47
Properties=species:S:1:pos:R:3
Al -10.544 -9.799 -4.159
N -9.012 -12.229 -1.805
C -9.375 -12.601 -3.025
N -9.775 -11.783 -3.998
C -9.962 -12.519 -5.157
C -9.747 -13.845 -5.084
S -9.324 -14.335 -3.462
C -10.308 -11.691 -6.367
C -10.427 -12.101 -7.644
S -10.674 -10.708 -8.674
C -10.663 -9.704 -7.285
N -10.490 -10.353 -6.177
N -10.755 -8.371 -7.449
H -8.790 -11.245 -1.510
H -8.784 -12.983 -1.147
H -9.829 -14.561 -5.858
H -10.318 -13.059 -8.095
H -11.018 -8.003 -8.371
H -10.538 -7.692 -6.691
N -12.731 -11.231 -3.894
N -13.123 -11.376 -2.554
C -12.617 -10.495 -1.632
N -13.369 -10.340 -0.507
S -11.160 -9.721 -1.675
H -13.393 -10.658 -4.301
H -12.732 -12.166 -4.253
H -14.123 -11.638 -2.386
H -14.338 -10.749 -0.391
H -13.146 -9.663 0.158
Cl -7.661 -9.282 -1.132
C -8.604 -7.824 -1.579
C -8.761 -6.877 -0.562
C -9.404 -5.656 -0.825
C -9.918 -5.430 -2.115
C -9.815 -6.409 -3.063
C -9.166 -7.640 -2.846
C -8.975 -8.634 -3.950
H -8.327 -7.170 0.452
H -9.510 -4.917 -0.037
H -10.387 -4.541 -2.388
H -10.195 -6.385 -4.032
H -8.119 -9.261 -3.820
H -8.846 -8.128 -4.898
F -13.244 -8.582 -3.675
C -12.252 -8.629 -4.601
F -12.905 -9.044 -5.768
F -11.894 -7.364 -4.830
```

Summary:
net charge: +1
HOMO-LUMO gap: 0.2991 Ha
ΔE to the lowest compared entry with this formula, charge and spin: 21.3 kcal/mol
lowest unoccupied orbital energy: -2.5 eV

***

C15H17BF4NO3 | ωB97M-V/def2-TZVPD

Structure (XYZ):
```
41
Properties=species:S:1:pos:R:3
N 3.357 -0.969 2.218
C 4.007 0.047 3.109
C 3.596 1.575 2.793
C 3.365 1.889 1.230
C 1.828 1.933 0.793
C 1.490 1.643 -0.571
C -0.052 1.627 -1.049
O -0.422 2.047 -2.176
C -1.081 1.071 0.065
C -2.328 0.213 -0.277
C -2.633 -0.166 -1.822
C -1.502 -1.244 -2.283
O -0.970 -0.966 -3.602
C -3.205 -0.255 0.915
C -2.856 0.105 2.403
C -1.583 0.952 2.768
C -0.721 1.422 1.558
C 0.623 2.279 1.814
O 0.702 3.163 2.707
H 3.992 -1.249 1.448
H 2.462 -0.634 1.836
H 5.143 -0.130 3.014
H 3.724 -0.208 4.194
H 4.498 2.223 3.117
H 2.731 1.875 3.472
H 3.962 2.826 0.976
H 3.845 1.032 0.618
H 2.365 1.406 -1.260
H -2.578 0.753 -2.496
H -3.699 -0.589 -1.935
H -0.627 -1.145 -1.531
H -1.927 -2.298 -2.156
H -0.039 -1.278 -3.622
H -4.140 -0.878 0.694
H -3.558 -0.268 3.215
H -1.324 1.210 3.859
B -3.288 -3.803 -4.808
F -2.124 -4.384 -4.200
F -4.024 -3.062 -3.820
F -2.886 -2.922 -5.864
F -4.119 -4.843 -5.343
```

Summary:
net charge: -1
HOMO-LUMO gap: 0.2785 Ha
lowest unoccupied orbital energy: 0.6 eV

***

C15H17Cl3N2S | ωB97M-V/def2-TZVPD

Structure (XYZ):
```
38
Properties=species:S:1:pos:R:3
C 5.992 -0.888 -0.126
C 4.791 -0.169 0.635
C 4.224 1.067 -0.213
C 2.971 0.585 -1.060
C 1.724 0.143 -0.155
C 0.657 1.328 -0.156
C -0.788 0.820 0.263
C -0.892 0.365 1.659
C -2.236 -0.091 2.139
N -2.456 -0.542 3.435
S -4.107 -0.873 3.398
N -4.547 -0.483 1.852
C -3.417 -0.061 1.166
C -3.319 0.365 -0.287
C -4.530 0.378 -1.237
Cl -4.790 1.870 -2.249
C -5.440 -0.635 -1.394
C -5.312 -1.980 -0.609
Cl -6.827 -0.395 -2.526
C -1.966 0.804 -0.704
~~~

1